== Brief ==
What is needed: retype the block underneath word for word.

== Input ==
┌──
--- one ---
VASP calculation (PBE) on crystalline K2LiNd4Nb2O12 at its relaxed geometry.

Cell and atoms, written as POSCAR:
```
K2LiNd4Nb2O12
1.0
5.7641 0.0047 -0.0009
-2.8767 6.1744 -1.8480
-0.0015 -0.1191 9.0201
K Li Nd Nb O
2 1 4 2 12
Direct
0.1157 0.2325 0.4912
0.8834 0.7667 0.5103
0.6636 0.3198 0.0075
0.1324 0.2626 0.9227
0.5732 0.1486 0.2265
0.4127 0.8252 0.7962
0.8850 0.7711 0.0694
0.6602 0.3205 0.6982
0.3306 0.6605 0.2869
0.9993 0.5327 0.8366
0.2120 0.8968 0.2875
0.2657 0.0141 0.0020
0.7783 0.0945 0.7130
0.6845 0.8970 0.2874
0.7479 0.0156 0.0023
0.3165 0.0946 0.7127
0.9865 0.4646 0.1495
0.6764 0.3521 0.4982
0.3195 0.6384 0.4886
0.4804 0.4645 0.1489
0.5326 0.5334 0.8358
```

Computed properties:
Symmetry: P1, No. 1
M_tot: 1.005 μB per formula unit
Calculated density: 5.4 g/cm³

--- two ---
VASP calculation (PBE) on crystalline K2LiNd4Nb2O12 at its relaxed geometry.

Cell and atoms, written as POSCAR:
```
K2LiNd4Nb2O12
1.0
5.7668 0.0019 -0.0007
-2.8812 6.2386 -1.5478
-0.0009 0.2337 8.7222
K Li Nd Nb O
2 1 4 2 12
Direct
0.1145 0.2293 0.4586
0.9088 0.8168 0.5753
0.7695 0.5414 0.3230
0.1419 0.2841 0.9357
0.5582 0.1166 0.1919
0.4155 0.8305 0.7980
0.8714 0.7420 0.0540
0.6672 0.3344 0.6953
0.3285 0.6577 0.2947
0.0003 0.5433 0.8265
0.1883 0.8733 0.2949
0.2435 0.0015 0.9909
0.7959 0.1233 0.7089
0.6847 0.8721 0.2947
0.7584 0.0017 0.9911
0.3276 0.1237 0.7090
0.9790 0.4414 0.1844
0.6859 0.3721 0.4854
0.3285 0.6574 0.5121
0.4600 0.4402 0.1846
0.5433 0.5435 0.8268
```

Computed properties:
Symmetry: P1, No. 1
M_tot: 0.381 μB per formula unit
Calculated density: 5.5 g/cm³

Which structure is most stable? two, by 3.1 kJ/mol of atoms over the runner-up.

--- one ---
VASP calculation (PBE) on crystalline K3Li2Nb5O15 at its relaxed geometry.

Cell and atoms, written as POSCAR:
```
K3Li2Nb5O15
1.0
-5.1229 -2.2922 -11.4412
0.0711 -12.5012 2.4728
-3.8197 0.3045 1.6493
K Li Nb O
6 4 10 30
Direct
0.0000 0.0000 0.4930
0.1719 0.6719 0.4972
0.3281 0.1719 0.4972
0.5000 0.5000 0.4930
0.6719 0.8281 0.4972
0.8281 0.3281 0.4972
0.1242 0.3758 0.5470
0.3758 0.8758 0.5470
0.6242 0.1242 0.5470
0.8758 0.6242 0.5470
0.0000 0.5000 0.0081
0.0763 0.2077 0.0127
0.2077 0.9237 0.0127
0.2923 0.4237 0.0127
0.4237 0.7077 0.0127
0.5000 0.0000 0.0081
0.5763 0.2923 0.0127
0.7077 0.5763 0.0127
0.7923 0.0763 0.0127
0.9237 0.7923 0.0127
0.0000 0.5000 0.4569
0.0031 0.3458 0.9405
0.0683 0.8587 0.9658
0.0803 0.2163 0.4577
0.1413 0.0683 0.9658
0.1542 0.4969 0.9405
0.2110 0.2890 0.9507
0.2163 0.9197 0.4577
0.2837 0.4197 0.4577
0.2890 0.7890 0.9507
0.3458 0.9969 0.9405
0.3587 0.5683 0.9658
0.4197 0.7163 0.4577
0.4317 0.3587 0.9658
0.4969 0.8458 0.9405
0.5000 0.0000 0.4569
0.5031 0.1542 0.9405
0.5683 0.6413 0.9658
0.5803 0.2837 0.4577
0.6413 0.4317 0.9658
0.6542 0.0031 0.9405
0.7110 0.2110 0.9507
0.7163 0.5803 0.4577
0.7837 0.0803 0.4577
0.7890 0.7110 0.9507
0.8458 0.5031 0.9405
0.8587 0.9317 0.9658
0.9197 0.7837 0.4577
0.9317 0.1413 0.9658
0.9969 0.6542 0.9405
```

Computed properties:
Piezoelectric modulus e_max: 3.65 C/m2
Symmetry: P4bm, No. 100
M_tot: 0.000 μB per formula unit
Calculated density: 4.1 g/cm³

--- two ---
VASP calculation (PBE) on crystalline K3Li2Nb5O15 at its relaxed geometry.

Cell and atoms, written as POSCAR:
```
K3Li2Nb5O15
1.0
-11.1978 -5.9225 2.2619
3.1233 -9.1488 -8.4928
1.7316 -2.1474 2.9501
K Li Nb O
6 4 10 30
Direct
0.5000 0.5000 0.5000
0.0000 0.0000 0.5000
0.6724 0.8276 0.5000
0.3276 0.1724 0.5000
0.1724 0.6724 0.5000
0.8276 0.3276 0.5000
0.8773 0.6227 0.5000
0.1227 0.3773 0.5000
0.3773 0.8773 0.5000
0.6227 0.1227 0.5000
0.5000 0.0000 0.0000
0.0000 0.5000 0.0000
0.7073 0.5760 0.0000
0.2927 0.4240 0.0000
0.2073 0.9240 0.0000
0.7927 0.0760 0.0000
0.4240 0.7073 0.0000
0.5760 0.2927 0.0000
0.0760 0.2073 0.0000
0.9240 0.7927 0.0000
0.4973 0.8456 0.0000
0.5027 0.1544 0.0000
0.9973 0.6544 0.0000
0.0027 0.3456 0.0000
0.1544 0.4973 0.0000
0.8456 0.5027 0.0000
0.3456 0.9973 0.0000
0.6544 0.0027 0.0000
0.5000 0.0000 0.5000
0.0000 0.5000 0.5000
└──

== Written answer ==
--- one ---
VASP calculation (PBE) on crystalline K2LiNd4Nb2O12 at its relaxed geometry.

Cell and atoms, written as POSCAR:
```
K2LiNd4Nb2O12
1.0
5.7641 0.0047 -0.0009
-2.8767 6.1744 -1.8480
-0.0015 -0.1191 9.0201
K Li Nd Nb O
2 1 4 2 12
Direct
0.1157 0.2325 0.4912
0.8834 0.7667 0.5103
0.6636 0.3198 0.0075
0.1324 0.2626 0.9227
0.5732 0.1486 0.2265
0.4127 0.8252 0.7962
0.8850 0.7711 0.0694
0.6602 0.3205 0.6982
0.3306 0.6605 0.2869
0.9993 0.5327 0.8366
0.2120 0.8968 0.2875
0.2657 0.0141 0.0020
0.7783 0.0945 0.7130
0.6845 0.8970 0.2874
0.7479 0.0156 0.0023
0.3165 0.0946 0.7127
0.9865 0.4646 0.1495
0.6764 0.3521 0.4982
0.3195 0.6384 0.4886
0.4804 0.4645 0.1489
0.5326 0.5334 0.8358
```

Computed properties:
Symmetry: P1, No. 1
M_tot: 1.005 μB per formula unit
Calculated density: 5.4 g/cm³

--- two ---
VASP calculation (PBE) on crystalline K2LiNd4Nb2O12 at its relaxed geometry.

Cell and atoms, written as POSCAR:
```
K2LiNd4Nb2O12
1.0
5.7668 0.0019 -0.0007
-2.8812 6.2386 -1.5478
-0.0009 0.2337 8.7222
K Li Nd Nb O
2 1 4 2 12
Direct
0.1145 0.2293 0.4586
0.9088 0.8168 0.5753
0.7695 0.5414 0.3230
0.1419 0.2841 0.9357
0.5582 0.1166 0.1919
0.4155 0.8305 0.7980
0.8714 0.7420 0.0540
0.6672 0.3344 0.6953
0.3285 0.6577 0.2947
0.0003 0.5433 0.8265
0.1883 0.8733 0.2949
0.2435 0.0015 0.9909
0.7959 0.1233 0.7089
0.6847 0.8721 0.2947
0.7584 0.0017 0.9911
0.3276 0.1237 0.7090
0.9790 0.4414 0.1844
0.6859 0.3721 0.4854
0.3285 0.6574 0.5121
0.4600 0.4402 0.1846
0.5433 0.5435 0.8268
```

Computed properties:
Symmetry: P1, No. 1
M_tot: 0.381 μB per formula unit
Calculated density: 5.5 g/cm³

Which structure is most stable? two, by 3.1 kJ/mol of atoms over the runner-up.

--- one ---
VASP calculation (PBE) on crystalline K3Li2Nb5O15 at its relaxed geometry.

Cell and atoms, written as POSCAR:
```
K3Li2Nb5O15
1.0
-5.1229 -2.2922 -11.4412
0.0711 -12.5012 2.4728
-3.8197 0.3045 1.6493
K Li Nb O
6 4 10 30
Direct
0.0000 0.0000 0.4930
0.1719 0.6719 0.4972
0.3281 0.1719 0.4972
0.5000 0.5000 0.4930
0.6719 0.8281 0.4972
0.8281 0.3281 0.4972
0.1242 0.3758 0.5470
0.3758 0.8758 0.5470
0.6242 0.1242 0.5470
0.8758 0.6242 0.5470
0.0000 0.5000 0.0081
0.0763 0.2077 0.0127
0.2077 0.9237 0.0127
0.2923 0.4237 0.0127
0.4237 0.7077 0.0127
0.5000 0.0000 0.0081
0.5763 0.2923 0.0127
0.7077 0.5763 0.0127
0.7923 0.0763 0.0127
0.9237 0.7923 0.0127
0.0000 0.5000 0.4569
0.0031 0.3458 0.9405
0.0683 0.8587 0.9658
0.0803 0.2163 0.4577
0.1413 0.0683 0.9658
0.1542 0.4969 0.9405
0.2110 0.2890 0.9507
0.2163 0.9197 0.4577
0.2837 0.4197 0.4577
0.2890 0.7890 0.9507
0.3458 0.9969 0.9405
0.3587 0.5683 0.9658
0.4197 0.7163 0.4577
0.4317 0.3587 0.9658
0.4969 0.8458 0.9405
0.5000 0.0000 0.4569
0.5031 0.1542 0.9405
0.5683 0.6413 0.9658
0.5803 0.2837 0.4577
0.6413 0.4317 0.9658
0.6542 0.0031 0.9405
0.7110 0.2110 0.9507
0.7163 0.5803 0.4577
0.7837 0.0803 0.4577
0.7890 0.7110 0.9507
0.8458 0.5031 0.9405
0.8587 0.9317 0.9658
0.9197 0.7837 0.4577
0.9317 0.1413 0.9658
0.9969 0.6542 0.9405
```

Computed properties:
Piezoelectric modulus e_max: 3.65 C/m2
Symmetry: P4bm, No. 100
M_tot: 0.000 μB per formula unit
Calculated density: 4.1 g/cm³

--- two ---
VASP calculation (PBE) on crystalline K3Li2Nb5O15 at its relaxed geometry.

Cell and atoms, written as POSCAR:
```
K3Li2Nb5O15
1.0
-11.1978 -5.9225 2.2619
3.1233 -9.1488 -8.4928
1.7316 -2.1474 2.9501
K Li Nb O
6 4 10 30
Direct
0.5000 0.5000 0.5000
0.0000 0.0000 0.5000
0.6724 0.8276 0.5000
0.3276 0.1724 0.5000
0.1724 0.6724 0.5000
0.8276 0.3276 0.5000
0.8773 0.6227 0.5000
0.1227 0.3773 0.5000
0.3773 0.8773 0.5000
0.6227 0.1227 0.5000
0.5000 0.0000 0.0000
0.0000 0.5000 0.0000
0.7073 0.5760 0.0000
0.2927 0.4240 0.0000
0.2073 0.9240 0.0000
0.7927 0.0760 0.0000
0.4240 0.7073 0.0000
0.5760 0.2927 0.0000
0.0760 0.2073 0.0000
0.9240 0.7927 0.0000
0.4973 0.8456 0.0000
0.5027 0.1544 0.0000
0.9973 0.6544 0.0000
0.0027 0.3456 0.0000
0.1544 0.4973 0.0000
0.8456 0.5027 0.0000
0.3456 0.9973 0.0000
0.6544 0.0027 0.0000
0.5000 0.0000 0.5000
0.0000 0.5000 0.5000